Excerpt:
- - -
(1)
Here is an optimized crystal structure of Mo2AsW2 from Alexandria via LeMat-Bulk. Energies are from PBE.

Properties
- Energy of formation from the pure elements: 3.4 eV/f.u.
- Total energy: -9.76 eV/atom
- Crystal system: tetragonal
- Density: 12.11 g cm⁻³
- Space group: P4/mbm

```
Mo2AsW2
1.0
7.625 0.000 0.000
0.000 7.625 0.000
0.000 0.000 2.994
Mo As W
4 2 4
Direct
0.148 0.352 0.000 Mo
0.352 0.852 0.000 Mo
0.648 0.148 0.000 Mo
0.852 0.648 0.000 Mo
0.000 0.000 0.000 As
0.500 0.500 0.000 As
0.146 0.646 0.500 W
0.354 0.146 0.500 W
0.646 0.854 0.500 W
0.854 0.354 0.500 W
```


(2)
Here is an optimized crystal structure of MoAsW2 from Alexandria via LeMat-Bulk. Energies are from PBE.

Properties
- Energy of formation from the pure elements: 1.7 eV/f.u.
- Total energy: -9.91 eV/atom
- Crystal system: trigonal
- Density: 13.91 g cm⁻³
- Space group: R-3m

```
MoAsW2
1.0
1.472 0.850 8.569
-1.472 0.850 8.569
0.000 -1.700 8.569
Mo As W
1 1 2
Direct
0.000 0.000 0.000 Mo
0.500 0.500 0.500 As
0.248 0.248 0.248 W
0.752 0.752 0.752 W
```


(3)
Here is an optimized crystal structure of MoAsW2 from Alexandria via LeMat-Bulk. Energies are from PBE.

Properties
- Energy of formation from the pure elements: 1.2 eV/f.u.
- Total energy: -10.04 eV/atom
- Crystal system: tetragonal
- Density: 14.13 g cm⁻³
- Space group: P4/mmm

```
MoAsW2
1.0
3.203 0.000 0.000
0.000 3.203 0.000
0.000 0.000 6.171
Mo As W
1 1 2
Direct
0.000 0.000 0.000 Mo
0.000 0.000 0.500 As
0.500 0.500 0.253 W
0.500 0.500 0.747 W
```


(4)
Here is an optimized crystal structure of MoAsW2 from Alexandria via LeMat-Bulk. Energies are from PBE.

Properties
- Energy of formation from the pure elements: 0.9 eV/f.u.
- Total energy: -10.12 eV/atom
- Crystal system: orthorhombic
- Density: 14.33 g cm⁻³
- Space group: Imm2

```
MoAsW2
1.0
-1.601 2.147 4.540
1.601 -2.147 4.540
1.601 2.147 -4.540
Mo As W
1 1 2
Direct
0.000 0.000 0.000 Mo
0.245 0.745 0.500 As
0.491 0.491 0.000 W
0.745 0.245 0.500 W
```
- - -
Request:
Could you print every line earlier on that contains the word "Direct"?
Here it is:
Direct
Direct
Direct
Direct